Input:
-- begin --
Entry 1:
ORCA calculation (ωB97M-V/def2-TZVPD) on one molecule with the formula C3H3N3O.

Structure (XYZ):
```
10
Properties=species:S:1:pos:R:3:lowdin_charge:R:1
C 0.601 0.871 0.216 -0.517
C -0.060 -1.027 -1.030 -0.126
C -1.141 -0.551 0.832 -0.198
H 2.049 2.019 -0.150 0.085
H -0.058 -1.577 -1.973 0.112
H -1.858 -0.790 1.628 0.147
N 1.208 1.935 0.464 0.162
N 0.844 -0.068 -0.819 0.129
N -1.166 -1.331 -0.188 0.102
O -0.420 0.519 1.020 0.106
```

ΔE to the lowest compared entry with this formula, charge and spin (eV): 1.354
Structure (SMILES): [H]/N=c1\ncnco1
DFT total energy (hartree): -355.5901
HOMO (eV): -9.889
HOMO-LUMO gap (eV): 9.615
LUMO (eV): -0.274

=====

Entry 2:
ORCA calculation (ωB97M-V/def2-TZVPD) on a 5-piece molecular cluster, H10O5 overall.

Structure (XYZ):
```
15
Properties=species:S:1:pos:R:3:lowdin_charge:R:1
H -0.528 0.307 1.587 0.062
H -0.884 -0.456 0.322 0.067
H 3.797 -0.117 -1.205 0.032
H 3.174 -0.585 0.100 0.024
H -5.235 -0.587 -1.077 0.034
H -3.763 -0.337 -0.790 0.027
H 0.484 2.313 -0.972 0.044
H 0.832 2.912 0.381 0.039
H 1.244 -2.080 0.243 0.060
H 0.927 -1.192 1.434 0.064
O -0.206 0.116 0.699 -0.130
O 3.140 -0.728 -0.852 -0.083
O -4.597 -0.550 -0.355 -0.063
O 0.419 2.141 -0.025 -0.061
O 1.196 -1.155 0.510 -0.116
```

ΔE to the lowest compared entry with this formula, charge and spin (eV): 4.323
Structure (SMILES): O.O.O.O.O
DFT total energy (hartree): -382.0653
HOMO (eV): -8.543
HOMO-LUMO gap (eV): 9.197
LUMO (eV): 0.654

=====

Entry 3:
ORCA calculation (ωB97M-V/def2-TZVPD) on a 11-piece molecular cluster, C21H33B2Br12N2O19 overall.

Structure (XYZ):
```
89
Properties=species:S:1:pos:R:3:lowdin_charge:R:1
N 2.569 -6.388 -2.633 0.360
H 3.542 -6.119 -2.585 0.149
H 1.961 -5.590 -2.520 0.156
H 2.451 -6.963 -1.811 0.157
H 2.360 -6.813 -3.525 0.155
N 5.642 -1.391 2.192 0.363
H 4.794 -1.934 2.268 0.158
H 6.179 -1.509 3.040 0.153
H 5.399 -0.416 2.093 0.154
H 6.257 -1.683 1.446 0.146
O 3.829 -6.840 8.373 0.101
C 3.792 -6.437 7.186 -0.334
O 3.932 -7.146 6.067 0.228
B 3.930 -6.295 4.869 -0.816
O 3.935 -4.928 5.483 0.212
C 3.663 -4.990 6.769 -0.406
O 3.574 -4.066 7.551 0.131
O 2.812 -6.480 3.891 0.230
C 3.229 -7.112 2.831 -0.379
O 2.522 -7.559 1.913 0.078
C 4.764 -7.048 2.876 -0.362
O 5.089 -6.537 4.009 0.248
O 5.519 -7.379 1.910 0.070
O -4.294 1.641 0.229 0.124
C -3.120 1.320 0.327 -0.436
O -2.695 0.095 0.172 0.218
B -1.184 0.165 -0.018 -0.791
O -0.822 1.534 0.377 0.199
C -1.998 2.233 0.624 -0.285
O -2.077 3.485 0.639 0.108
O -0.834 -0.380 -1.382 0.206
C 0.042 -1.377 -1.248 -0.364
O 0.473 -2.162 -2.065 0.102
C 0.294 -1.598 0.309 -0.433
O -0.531 -0.799 0.901 0.223
O 1.135 -2.284 0.789 0.133
O 5.475 -1.915 -2.872 0.062
C 6.151 -2.880 -2.263 -0.990
O 5.850 -3.998 -2.584 -0.051
O 6.987 -2.652 -1.391 -0.061
H 4.846 -2.437 -3.376 0.086
Br -9.972 -2.072 -0.176 0.564
C -8.461 -1.036 0.566 -0.700
C -8.111 -1.353 2.009 -0.602
Br -9.732 -0.902 3.105 0.510
H -8.612 0.018 0.333 0.057
H -7.531 -1.226 0.030 0.063
H -7.300 -0.835 2.520 0.063
H -8.078 -2.441 2.069 0.045
Br 3.222 4.052 0.362 0.540
C 2.739 5.811 1.239 -0.639
C 3.801 6.863 0.870 -0.648
Br 3.232 8.654 1.594 0.548
H 2.741 5.604 2.309 0.046
H 1.703 6.046 0.993 0.056
H 3.727 6.909 -0.217 0.041
H 4.820 6.592 1.146 0.057
Br -2.500 0.190 6.356 0.546
C -0.501 0.263 6.690 -0.674
C 0.253 -0.095 5.495 -0.742
Br 2.115 0.280 5.789 0.632
H -0.310 -0.481 7.463 0.059
H -0.269 1.260 7.066 0.052
H 0.015 0.626 4.713 0.049
H 0.079 -1.117 5.159 0.077
Br -4.763 8.460 -3.501 0.568
C -2.825 8.387 -4.036 -0.650
C -2.128 7.486 -3.084 -0.755
Br -0.265 7.151 -3.511 0.615
H -2.380 9.378 -4.127 0.063
H -2.842 7.927 -5.024 0.051
H -2.716 6.574 -2.982 0.054
H -2.115 7.956 -2.100 0.052
Br -5.388 -0.303 -4.277 0.600
C -5.996 1.207 -5.387 -0.687
C -5.678 2.483 -4.529 -0.691
Br -5.678 3.955 -5.804 0.595
H -7.070 1.251 -5.567 0.055
H -5.513 1.215 -6.364 0.037
H -4.712 2.403 -4.031 0.039
H -6.480 2.758 -3.844 0.051
Br -0.946 2.204 -7.556 0.567
C -0.163 1.492 -5.931 -0.732
C 1.274 1.958 -5.775 -0.606
-- stop --
Request:
It remains to type out the whole of the listing above word for word.
Here it is:
Entry 1:
ORCA calculation (ωB97M-V/def2-TZVPD) on one molecule with the formula C3H3N3O.

Structure (XYZ):
```
10
Properties=species:S:1:pos:R:3:lowdin_charge:R:1
C 0.601 0.871 0.216 -0.517
C -0.060 -1.027 -1.030 -0.126
C -1.141 -0.551 0.832 -0.198
H 2.049 2.019 -0.150 0.085
H -0.058 -1.577 -1.973 0.112
H -1.858 -0.790 1.628 0.147
N 1.208 1.935 0.464 0.162
N 0.844 -0.068 -0.819 0.129
N -1.166 -1.331 -0.188 0.102
O -0.420 0.519 1.020 0.106
```

ΔE to the lowest compared entry with this formula, charge and spin (eV): 1.354
Structure (SMILES): [H]/N=c1\ncnco1
DFT total energy (hartree): -355.5901
HOMO (eV): -9.889
HOMO-LUMO gap (eV): 9.615
LUMO (eV): -0.274

=====

Entry 2:
ORCA calculation (ωB97M-V/def2-TZVPD) on a 5-piece molecular cluster, H10O5 overall.

Structure (XYZ):
```
15
Properties=species:S:1:pos:R:3:lowdin_charge:R:1
H -0.528 0.307 1.587 0.062
H -0.884 -0.456 0.322 0.067
H 3.797 -0.117 -1.205 0.032
H 3.174 -0.585 0.100 0.024
H -5.235 -0.587 -1.077 0.034
H -3.763 -0.337 -0.790 0.027
H 0.484 2.313 -0.972 0.044
H 0.832 2.912 0.381 0.039
H 1.244 -2.080 0.243 0.060
H 0.927 -1.192 1.434 0.064
O -0.206 0.116 0.699 -0.130
O 3.140 -0.728 -0.852 -0.083
O -4.597 -0.550 -0.355 -0.063
O 0.419 2.141 -0.025 -0.061
O 1.196 -1.155 0.510 -0.116
```

ΔE to the lowest compared entry with this formula, charge and spin (eV): 4.323
Structure (SMILES): O.O.O.O.O
DFT total energy (hartree): -382.0653
HOMO (eV): -8.543
HOMO-LUMO gap (eV): 9.197
LUMO (eV): 0.654

=====

Entry 3:
ORCA calculation (ωB97M-V/def2-TZVPD) on a 11-piece molecular cluster, C21H33B2Br12N2O19 overall.

Structure (XYZ):
```
89
Properties=species:S:1:pos:R:3:lowdin_charge:R:1
N 2.569 -6.388 -2.633 0.360
H 3.542 -6.119 -2.585 0.149
H 1.961 -5.590 -2.520 0.156
H 2.451 -6.963 -1.811 0.157
H 2.360 -6.813 -3.525 0.155
N 5.642 -1.391 2.192 0.363
H 4.794 -1.934 2.268 0.158
H 6.179 -1.509 3.040 0.153
H 5.399 -0.416 2.093 0.154
H 6.257 -1.683 1.446 0.146
O 3.829 -6.840 8.373 0.101
C 3.792 -6.437 7.186 -0.334
O 3.932 -7.146 6.067 0.228
B 3.930 -6.295 4.869 -0.816
O 3.935 -4.928 5.483 0.212
C 3.663 -4.990 6.769 -0.406
O 3.574 -4.066 7.551 0.131
O 2.812 -6.480 3.891 0.230
C 3.229 -7.112 2.831 -0.379
O 2.522 -7.559 1.913 0.078
C 4.764 -7.048 2.876 -0.362
O 5.089 -6.537 4.009 0.248
O 5.519 -7.379 1.910 0.070
O -4.294 1.641 0.229 0.124
C -3.120 1.320 0.327 -0.436
O -2.695 0.095 0.172 0.218
B -1.184 0.165 -0.018 -0.791
O -0.822 1.534 0.377 0.199
C -1.998 2.233 0.624 -0.285
O -2.077 3.485 0.639 0.108
O -0.834 -0.380 -1.382 0.206
C 0.042 -1.377 -1.248 -0.364
O 0.473 -2.162 -2.065 0.102
C 0.294 -1.598 0.309 -0.433
O -0.531 -0.799 0.901 0.223
O 1.135 -2.284 0.789 0.133
O 5.475 -1.915 -2.872 0.062
C 6.151 -2.880 -2.263 -0.990
O 5.850 -3.998 -2.584 -0.051
O 6.987 -2.652 -1.391 -0.061
H 4.846 -2.437 -3.376 0.086
Br -9.972 -2.072 -0.176 0.564
C -8.461 -1.036 0.566 -0.700
C -8.111 -1.353 2.009 -0.602
Br -9.732 -0.902 3.105 0.510
H -8.612 0.018 0.333 0.057
H -7.531 -1.226 0.030 0.063
H -7.300 -0.835 2.520 0.063
H -8.078 -2.441 2.069 0.045
Br 3.222 4.052 0.362 0.540
C 2.739 5.811 1.239 -0.639
C 3.801 6.863 0.870 -0.648
Br 3.232 8.654 1.594 0.548
H 2.741 5.604 2.309 0.046
H 1.703 6.046 0.993 0.056
H 3.727 6.909 -0.217 0.041
H 4.820 6.592 1.146 0.057
Br -2.500 0.190 6.356 0.546
C -0.501 0.263 6.690 -0.674
C 0.253 -0.095 5.495 -0.742
Br 2.115 0.280 5.789 0.632
H -0.310 -0.481 7.463 0.059
H -0.269 1.260 7.066 0.052
H 0.015 0.626 4.713 0.049
H 0.079 -1.117 5.159 0.077
Br -4.763 8.460 -3.501 0.568
C -2.825 8.387 -4.036 -0.650
C -2.128 7.486 -3.084 -0.755
Br -0.265 7.151 -3.511 0.615
H -2.380 9.378 -4.127 0.063
H -2.842 7.927 -5.024 0.051
H -2.716 6.574 -2.982 0.054
H -2.115 7.956 -2.100 0.052
Br -5.388 -0.303 -4.277 0.600
C -5.996 1.207 -5.387 -0.687
C -5.678 2.483 -4.529 -0.691
Br -5.678 3.955 -5.804 0.595
H -7.070 1.251 -5.567 0.055
H -5.513 1.215 -6.364 0.037
H -4.712 2.403 -4.031 0.039
H -6.480 2.758 -3.844 0.051
Br -0.946 2.204 -7.556 0.567
C -0.163 1.492 -5.931 -0.732
C 1.274 1.958 -5.775 -0.606